- - -
{
  "formula": "C25H27N3O5S",
  "method": "wB97M-V/def2-TZVPD",
  "de_lowest_kcal_mol": 7.9,
  "fmax_ev_per_a": 0.92,
  "smiles": "CCc1ccc(NC(=O)CSc2nc3cc(C(=O)OC)ccc3c(=O)n2C[C@H]2CCCO2)cc1",
  "lumo_energy_ev": -0.120,
  "orbital_gap_ev": 8.10,
  "total_energy_ev": -51908.249,
  "species": ["C", "C", "C", "C", "C", "C", "N", "C", "O", "C", "S", "C", "N", "C", "C", "C", "C", "O", "O", "C", "C", "C", "C", "C", "O", "N", "C", "C", "C", "C", "C", "O", "C", "C", "H", "H", "H", "H", "H", "H", "H", "H", "H", "H", "H", "H", "H", "H", "H", "H", "H", "H", "H", "H", "H", "H", "H", "H", "H", "H", "H"],
  "xyz": [[3.1240, 3.5312, -3.8868], [4.0285, 2.3004, -3.9682], [3.7511, 1.3818, -2.8133], [2.8825, 0.3075, -2.9436], [2.5841, -0.5132, -1.8719], [3.1516, -0.2565, -0.6302], [2.8559, -1.0096, 0.5174], [2.0007, -2.0532, 0.6309], [1.5092, -2.6674, -0.2877], [1.7296, -2.4470, 2.0869], [-0.0230, -2.9015, 2.2414], [-0.6996, -1.5506, 1.3546], [0.0750, -0.5365, 1.1797], [-0.3540, 0.4855, 0.3851], [0.4785, 1.5854, 0.1603], [0.0652, 2.6047, -0.6770], [0.9783, 3.7625, -0.8647], [2.0867, 3.8342, -0.3933], [0.4153, 4.7300, -1.5999], [1.1634, 5.9167, -1.8216], [-1.1854, 2.5464, -1.3082], [-2.0176, 1.4771, -1.0794], [-1.6179, 0.4432, -0.2290], [-2.5093, -0.6788, 0.0402], [-3.6359, -0.7923, -0.3971], [-1.9683, -1.6642, 0.8809], [-2.7905, -2.8132, 1.1866], [-3.4090, -2.7499, 2.6023], [-4.3246, -1.5378, 2.7907], [-5.6307, -2.0348, 2.1707], [-5.5658, -3.5528, 2.4032], [-4.2381, -3.8702, 2.8076], [4.0255, 0.8186, -0.4890], [4.3201, 1.6240, -1.5690], [3.3353, 4.2182, -4.7038], [3.2864, 4.0443, -2.9422], [2.0784, 3.2332, -3.9406], [5.0721, 2.6215, -3.9439], [3.8522, 1.7795, -4.9112], [2.4279, 0.1033, -3.9025], [1.9101, -1.3439, -1.9927], [3.2125, -0.6064, 1.3725], [1.9489, -1.6466, 2.7910], [2.2836, -3.3492, 2.3475], [1.4431, 1.6437, 0.6370], [2.0650, 5.9100, -1.2062], [1.4328, 5.9712, -2.8772], [0.5301, 6.7630, -1.5564], [-1.4854, 3.3476, -1.9638], [-2.9908, 1.4093, -1.5418], [-2.1915, -3.7242, 1.1070], [-3.5907, -2.8371, 0.4440], [-2.6066, -2.7993, 3.3463], [-4.4514, -1.3434, 3.8562], [-3.9470, -0.6389, 2.3100], [-5.6484, -1.8015, 1.1067], [-6.5065, -1.5903, 2.6372], [-6.2325, -3.8756, 3.2089], [-5.8190, -4.1162, 1.4981], [4.4679, 1.0287, 0.4752], [4.9949, 2.4573, -1.4416]],
  "forces_ev_per_angstrom": [[0.2, -0.1, -0.1], [-0.2, 0.1, 0.1], [0.1, -0.1, -0.2], [0.2, 0.2, 0.1], [-0.2, -0.2, 0.0], [0.1, 0.0, -0.3], [0.5, 0.2, 0.1], [0.3, -0.2, 0.4], [0.0, 0.0, -0.2], [-0.6, 0.0, -0.1], [0.2, -0.4, 0.2], [0.7, 0.5, 0.2], [-0.1, -0.3, 0.5], [-0.7, 0.2, -0.4], [-0.1, 0.3, -0.2], [-0.1, -0.4, 0.2], [0.4, 0.1, 0.2], [-0.1, 0.0, 0.0], [-0.3, -0.2, -0.1], [0.4, 0.3, 0.1], [0.0, 0.0, 0.0], [-0.1, -0.1, 0.0], [0.5, 0.3, 0.0], [0.0, 0.0, 0.0], [-0.1, 0.1, -0.1], [-0.1, 0.2, -0.2], [-0.5, -0.6, 0.3], [0.3, 0.4, -0.1], [0.1, -0.2, 0.0], [0.1, -0.1, 0.0], [-0.4, 0.0, 0.0], [0.2, -0.2, 0.0], [0.0, -0.1, 0.0], [-0.1, -0.1, 0.0], [0.0, 0.1, -0.1], [0.0, 0.1, 0.1], [-0.1, 0.0, 0.0], [0.0, -0.1, -0.1], [0.1, 0.0, 0.0], [0.0, 0.0, -0.1], [0.0, 0.0, 0.0], [-0.2, -0.1, -0.1], [0.1, 0.0, -0.1], [0.0, 0.0, 0.0], [0.1, 0.0, 0.0], [-0.1, 0.1, -0.1], [0.0, 0.0, 0.1], [0.0, -0.1, 0.0], [0.0, 0.0, 0.0], [-0.1, 0.0, 0.0], [-0.1, 0.1, -0.1], [0.2, -0.1, 0.1], [-0.1, 0.1, 0.0], [0.1, 0.0, 0.0], [0.0, 0.1, 0.0], [0.0, 0.0, 0.0], [0.0, 0.0, 0.0], [0.0, 0.0, -0.1], [0.0, 0.0, 0.1], [0.1, 0.0, 0.1], [0.1, 0.1, 0.0]],
  "lowdin_charge": [-0.0948, -0.2078, -0.2525, -0.0240, -0.0044, -0.2359, 0.1275, -0.5677, 0.0543, -0.3417, 1.0490, -0.5484, 0.1036, -0.1770, 0.0714, -0.0986, -0.4511, 0.1026, -0.0424, -0.0401, 0.0021, 0.0137, -0.0495, -0.3532, 0.0856, 0.0290, -0.1017, -0.3256, -0.1106, -0.1425, -0.1789, -0.0965, -0.0285, -0.0399, 0.0714, 0.0619, 0.0795, 0.1107, 0.1083, 0.1152, 0.1023, 0.1416, 0.0773, 0.0882, 0.1213, 0.0905, 0.0905, 0.0949, 0.1165, 0.1218, 0.1133, 0.1333, 0.1256, 0.1206, 0.1090, 0.1014, 0.1096, 0.1179, 0.1187, 0.1138, 0.1194]
}

=====

P:
- - -

It remains to say how many lines of the listing further up hold the word "cc1", as a bare number.

1